Start at the top of the calculation results underneath and duplicate each line, ending with the one that has "Material: CsPdCl3", please.
┌──
Material: CsTa6PbCl18
Method: DFT, PBE-GGA
State: optimized geometry

Output
* SG: P-31c, No. 163
* corrected total energy (MP2020 scheme): -309.8 eV/cell
* calculated formation energy: -1765 meV/atom

Cell: 9.4399 9.4399 17.5880 Å, 90.00 90.00 120.00°
With the nearest neighbours (Å) after each atom.
Positions (direct):
Cs (0.6667, 0.3333, 0.7500)  12 Cl 3.69-4.03
Cs (0.3333, 0.6667, 0.2500)  12 Cl 3.69-4.03
Ta (0.8084, 0.8349, 0.9319)  5 Cl 2.45-2.62
Ta (0.8349, 0.0265, 0.0681)  5 Cl 2.45-2.62
Ta (0.1916, 0.0265, 0.4319)  5 Cl 2.45-2.62
Ta (0.1916, 0.1651, 0.0681)  5 Cl 2.45-2.62
Ta (0.1651, 0.9735, 0.9319)  5 Cl 2.45-2.62
Ta (0.9735, 0.1651, 0.4319)  5 Cl 2.45-2.62
Ta (0.8084, 0.9735, 0.5681)  5 Cl 2.45-2.62
Ta (0.0265, 0.8349, 0.5681)  5 Cl 2.45-2.62
Ta (0.1651, 0.1916, 0.5681)  5 Cl 2.45-2.62
Ta (0.8349, 0.8084, 0.4319)  5 Cl 2.45-2.62
Ta (0.9735, 0.8084, 0.0681)  5 Cl 2.45-2.62
Ta (0.0265, 0.1916, 0.9319)  5 Cl 2.45-2.62
Pb (0.6667, 0.3333, 0.2500)  6 Cl 2.97
Pb (0.3333, 0.6667, 0.7500)  6 Cl 2.97
Cl (0.8379, 0.5834, 0.5001)  2 Ta 2.45
Cl (0.0540, 0.6239, 0.6551)  1 Ta 2.62
Cl (0.4166, 0.1621, 0.9999)  2 Ta 2.45
Cl (0.7455, 0.1621, 0.5001)  2 Ta 2.45
Cl (0.1621, 0.7455, 0.0001)  2 Ta 2.45
Cl (0.1621, 0.4166, 0.4999)  2 Ta 2.45
Cl (0.2239, 0.0303, 0.6595)  2 Ta 2.45-2.46
Cl (0.9697, 0.1936, 0.6595)  2 Ta 2.45-2.46
Cl (0.6239, 0.0540, 0.1551)  1 Ta 2.62
Cl (0.1936, 0.9697, 0.1595)  2 Ta 2.45-2.46
Cl (0.0303, 0.2239, 0.1595)  2 Ta 2.45-2.46
Cl (0.5700, 0.6239, 0.8449)  1 Ta 2.62
Cl (0.5834, 0.8379, 0.0001)  2 Ta 2.45
Cl (0.3761, 0.4300, 0.6551)  1 Ta 2.62
Cl (0.4166, 0.2545, 0.5001)  2 Ta 2.45
Cl (0.8379, 0.2545, 0.9999)  2 Ta 2.45
Cl (0.4300, 0.0540, 0.3449)  1 Ta 2.62
Cl (0.7761, 0.9697, 0.3405)  2 Ta 2.45-2.46
Cl (0.5834, 0.7455, 0.4999)  2 Ta 2.45
Cl (0.8064, 0.0303, 0.8405)  2 Ta 2.45-2.46
Cl (0.2545, 0.8379, 0.4999)  2 Ta 2.45
Cl (0.6239, 0.5700, 0.3449)  1 Ta 2.62
Cl (0.9460, 0.5700, 0.1551)  1 Ta 2.62
Cl (0.9460, 0.3761, 0.3449)  1 Ta 2.62
Cl (0.7761, 0.8064, 0.1595)  2 Ta 2.45-2.46
Cl (0.9697, 0.7761, 0.8405)  2 Ta 2.45-2.46
Cl (0.5700, 0.9460, 0.6551)  1 Ta 2.62
Cl (0.2239, 0.1936, 0.8405)  2 Ta 2.45-2.46
Cl (0.2545, 0.4166, 0.0001)  2 Ta 2.45
Cl (0.1936, 0.2239, 0.3405)  2 Ta 2.45-2.46
Cl (0.3761, 0.9460, 0.8449)  1 Ta 2.62
Cl (0.0540, 0.4300, 0.8449)  1 Ta 2.62
Cl (0.8064, 0.7761, 0.6595)  2 Ta 2.45-2.46
Cl (0.4300, 0.3761, 0.1551)  1 Ta 2.62
Cl (0.0303, 0.8064, 0.3405)  2 Ta 2.45-2.46
Cl (0.7455, 0.5834, 0.9999)  2 Ta 2.45


Material: Cs2PdCl4
Method: DFT, PBE-GGA
State: optimized geometry

Output
* SG: P4/mmm, No. 123
* corrected total energy (MP2020 scheme): -26.6 eV/cell
* calculated formation energy: -1751 meV/atom

Cell: 7.5832 7.5832 4.7665 Å, 90.00 90.00 90.00°
With the nearest neighbours (Å) after each atom.
Positions (direct):
Cs (0.0000, 0.5000, 0.5000)  8 Cl 3.60
Cs (0.5000, 0.0000, 0.5000)  8 Cl 3.60
Pd (0.0000, 0.0000, 0.0000)  4 Cl 2.34
Cl (0.2181, 0.2181, 0.0000)  1 Pd 2.34
Cl (0.7819, 0.7819, 0.0000)  1 Pd 2.34
Cl (0.2181, 0.7819, 0.0000)  1 Pd 2.34
Cl (0.7819, 0.2181, 0.0000)  1 Pd 2.34


Material: Cs2PdCl4
Method: DFT, PBE-GGA
State: optimized geometry

Output
* SG: Cmcm, No. 63
* corrected total energy (MP2020 scheme): -53.2 eV/cell
* calculated formation energy: -1751 meV/atom

Cell: 7.6355 7.6355 9.4839 Å, 90.00 90.00 90.03°
With the nearest neighbours (Å) after each atom.
Positions (direct):
Cs (0.4968, 0.0059, 0.7500)  8 Cl 3.61-3.62
Cs (0.5032, 0.9941, 0.2500)  8 Cl 3.61-3.62
Cs (0.0059, 0.4968, 0.7500)  8 Cl 3.61-3.62
Cs (0.9941, 0.5032, 0.2500)  8 Cl 3.61-3.62
Pd (0.0000, 0.0000, 0.5000)  4 Cl 2.34
Pd (0.0000, 0.0000, 0.0000)  4 Cl 2.34
Cl (0.7837, 0.7837, 0.9937)  1 Pd 2.34
Cl (0.2163, 0.2163, 0.4937)  1 Pd 2.34
Cl (0.7837, 0.7837, 0.5063)  1 Pd 2.34
Cl (0.2163, 0.2163, 0.0063)  1 Pd 2.34
Cl (0.7837, 0.2163, 0.5000)  1 Pd 2.34
Cl (0.2163, 0.7837, 0.0000)  1 Pd 2.34
Cl (0.7837, 0.2163, 0.0000)  1 Pd 2.34
Cl (0.2163, 0.7837, 0.5000)  1 Pd 2.34


Material: CsPdCl3
Method: DFT, PBE-GGA
└──
Material: CsTa6PbCl18
Method: DFT, PBE-GGA
State: optimized geometry

Output
* SG: P-31c, No. 163
* corrected total energy (MP2020 scheme): -309.8 eV/cell
* calculated formation energy: -1765 meV/atom

Cell: 9.4399 9.4399 17.5880 Å, 90.00 90.00 120.00°
With the nearest neighbours (Å) after each atom.
Positions (direct):
Cs (0.6667, 0.3333, 0.7500)  12 Cl 3.69-4.03
Cs (0.3333, 0.6667, 0.2500)  12 Cl 3.69-4.03
Ta (0.8084, 0.8349, 0.9319)  5 Cl 2.45-2.62
Ta (0.8349, 0.0265, 0.0681)  5 Cl 2.45-2.62
Ta (0.1916, 0.0265, 0.4319)  5 Cl 2.45-2.62
Ta (0.1916, 0.1651, 0.0681)  5 Cl 2.45-2.62
Ta (0.1651, 0.9735, 0.9319)  5 Cl 2.45-2.62
Ta (0.9735, 0.1651, 0.4319)  5 Cl 2.45-2.62
Ta (0.8084, 0.9735, 0.5681)  5 Cl 2.45-2.62
Ta (0.0265, 0.8349, 0.5681)  5 Cl 2.45-2.62
Ta (0.1651, 0.1916, 0.5681)  5 Cl 2.45-2.62
Ta (0.8349, 0.8084, 0.4319)  5 Cl 2.45-2.62
Ta (0.9735, 0.8084, 0.0681)  5 Cl 2.45-2.62
Ta (0.0265, 0.1916, 0.9319)  5 Cl 2.45-2.62
Pb (0.6667, 0.3333, 0.2500)  6 Cl 2.97
Pb (0.3333, 0.6667, 0.7500)  6 Cl 2.97
Cl (0.8379, 0.5834, 0.5001)  2 Ta 2.45
Cl (0.0540, 0.6239, 0.6551)  1 Ta 2.62
Cl (0.4166, 0.1621, 0.9999)  2 Ta 2.45
Cl (0.7455, 0.1621, 0.5001)  2 Ta 2.45
Cl (0.1621, 0.7455, 0.0001)  2 Ta 2.45
Cl (0.1621, 0.4166, 0.4999)  2 Ta 2.45
Cl (0.2239, 0.0303, 0.6595)  2 Ta 2.45-2.46
Cl (0.9697, 0.1936, 0.6595)  2 Ta 2.45-2.46
Cl (0.6239, 0.0540, 0.1551)  1 Ta 2.62
Cl (0.1936, 0.9697, 0.1595)  2 Ta 2.45-2.46
Cl (0.0303, 0.2239, 0.1595)  2 Ta 2.45-2.46
Cl (0.5700, 0.6239, 0.8449)  1 Ta 2.62
Cl (0.5834, 0.8379, 0.0001)  2 Ta 2.45
Cl (0.3761, 0.4300, 0.6551)  1 Ta 2.62
Cl (0.4166, 0.2545, 0.5001)  2 Ta 2.45
Cl (0.8379, 0.2545, 0.9999)  2 Ta 2.45
Cl (0.4300, 0.0540, 0.3449)  1 Ta 2.62
Cl (0.7761, 0.9697, 0.3405)  2 Ta 2.45-2.46
Cl (0.5834, 0.7455, 0.4999)  2 Ta 2.45
Cl (0.8064, 0.0303, 0.8405)  2 Ta 2.45-2.46
Cl (0.2545, 0.8379, 0.4999)  2 Ta 2.45
Cl (0.6239, 0.5700, 0.3449)  1 Ta 2.62
Cl (0.9460, 0.5700, 0.1551)  1 Ta 2.62
Cl (0.9460, 0.3761, 0.3449)  1 Ta 2.62
Cl (0.7761, 0.8064, 0.1595)  2 Ta 2.45-2.46
Cl (0.9697, 0.7761, 0.8405)  2 Ta 2.45-2.46
Cl (0.5700, 0.9460, 0.6551)  1 Ta 2.62
Cl (0.2239, 0.1936, 0.8405)  2 Ta 2.45-2.46
Cl (0.2545, 0.4166, 0.0001)  2 Ta 2.45
Cl (0.1936, 0.2239, 0.3405)  2 Ta 2.45-2.46
Cl (0.3761, 0.9460, 0.8449)  1 Ta 2.62
Cl (0.0540, 0.4300, 0.8449)  1 Ta 2.62
Cl (0.8064, 0.7761, 0.6595)  2 Ta 2.45-2.46
Cl (0.4300, 0.3761, 0.1551)  1 Ta 2.62
Cl (0.0303, 0.8064, 0.3405)  2 Ta 2.45-2.46
Cl (0.7455, 0.5834, 0.9999)  2 Ta 2.45


Material: Cs2PdCl4
Method: DFT, PBE-GGA
State: optimized geometry

Output
* SG: P4/mmm, No. 123
* corrected total energy (MP2020 scheme): -26.6 eV/cell
* calculated formation energy: -1751 meV/atom

Cell: 7.5832 7.5832 4.7665 Å, 90.00 90.00 90.00°
With the nearest neighbours (Å) after each atom.
Positions (direct):
Cs (0.0000, 0.5000, 0.5000)  8 Cl 3.60
Cs (0.5000, 0.0000, 0.5000)  8 Cl 3.60
Pd (0.0000, 0.0000, 0.0000)  4 Cl 2.34
Cl (0.2181, 0.2181, 0.0000)  1 Pd 2.34
Cl (0.7819, 0.7819, 0.0000)  1 Pd 2.34
Cl (0.2181, 0.7819, 0.0000)  1 Pd 2.34
Cl (0.7819, 0.2181, 0.0000)  1 Pd 2.34


Material: Cs2PdCl4
Method: DFT, PBE-GGA
State: optimized geometry

Output
* SG: Cmcm, No. 63
* corrected total energy (MP2020 scheme): -53.2 eV/cell
* calculated formation energy: -1751 meV/atom

Cell: 7.6355 7.6355 9.4839 Å, 90.00 90.00 90.03°
With the nearest neighbours (Å) after each atom.
Positions (direct):
Cs (0.4968, 0.0059, 0.7500)  8 Cl 3.61-3.62
Cs (0.5032, 0.9941, 0.2500)  8 Cl 3.61-3.62
Cs (0.0059, 0.4968, 0.7500)  8 Cl 3.61-3.62
Cs (0.9941, 0.5032, 0.2500)  8 Cl 3.61-3.62
Pd (0.0000, 0.0000, 0.5000)  4 Cl 2.34
Pd (0.0000, 0.0000, 0.0000)  4 Cl 2.34
Cl (0.7837, 0.7837, 0.9937)  1 Pd 2.34
Cl (0.2163, 0.2163, 0.4937)  1 Pd 2.34
Cl (0.7837, 0.7837, 0.5063)  1 Pd 2.34
Cl (0.2163, 0.2163, 0.0063)  1 Pd 2.34
Cl (0.7837, 0.2163, 0.5000)  1 Pd 2.34
Cl (0.2163, 0.7837, 0.0000)  1 Pd 2.34
Cl (0.7837, 0.2163, 0.0000)  1 Pd 2.34
Cl (0.2163, 0.7837, 0.5000)  1 Pd 2.34


Material: CsPdCl3